**Listing:**
=====
(1)
15
Properties=species:S:1:pos:R:3 method="wB97M-V/def2-TZVPD" multiplicity=2 homo_lumo_gap_ev="10.573 / 7.619" s2=0.75 e_homo_ev="-9.6 / -9.6" charge=0 e_lumo_ev="0.960 / -1.991"
C -0.351 0.170 -0.719
N 0.321 0.475 0.568
C 1.729 -0.038 0.580
O 2.532 0.388 -0.409
C -1.548 -0.775 -0.531
N -2.509 -0.251 0.484
H 0.382 -0.255 -1.415
H -0.755 1.075 -1.178
H 0.526 1.469 0.503
H 1.615 -1.125 0.684
H 2.150 0.282 1.540
H -1.233 -1.759 -0.184
H -2.050 -0.877 -1.491
H -2.112 -0.584 1.352
H -2.269 0.724 0.660

(2)
15
Properties=species:S:1:pos:R:3 method="wB97M-V/def2-TZVPD" homo_lumo_gap_ev="8.887 / 8.888" e_homo_ev="-13.2 / -13.2" charge=+1 e_lumo_ev="-4.267 / -4.267"
C -1.827 1.439 0.695
C 0.550 -1.444 -0.716
C 0.385 0.839 0.162
N -0.869 1.419 -0.043
N 0.726 -0.039 -1.001
O 1.491 1.479 0.471
H -2.692 2.112 0.734
H -1.734 0.738 1.610
H 0.674 -1.447 0.372
H -0.557 -1.592 -1.012
H 1.425 -2.020 -1.230
H -0.333 -0.183 1.819
H 1.795 0.136 -1.175
H 0.084 0.216 -1.767
H 1.601 2.096 1.264

(3)
16
Properties=species:S:1:pos:R:3 method="wB97M-V/def2-TZVPD" homo_lumo_gap_ev=7.990 e_homo_ev=-3.9 charge=-1 e_lumo_ev=4.092
C 0.269 0.431 2.579
N -0.468 1.166 1.736
O 0.723 -0.695 2.362
H 0.528 0.940 3.539
H -1.137 1.713 2.269
H -0.803 0.450 0.394
C 0.699 0.521 -2.583
N 0.634 -0.769 -1.912
C -0.551 -0.961 -1.020
O -1.084 0.216 -0.594
H -0.084 0.674 -3.345
H 1.686 0.634 -3.039
H 0.573 1.308 -1.844
H 0.711 -1.490 -2.615
H -0.209 -1.609 -0.218
H -1.309 -1.549 -1.578

(4)
16
Properties=species:S:1:pos:R:3 method="wB97M-V/def2-TZVPD" homo_lumo_gap_ev=11.248 e_homo_ev=-14.7 charge=+1 e_lumo_ev=-3.484 smiles="NC(=O)[C@H]([NH3+])CO"
N -1.050 2.015 -0.007
C -1.113 0.718 -0.335
O -2.135 0.106 -0.570
C 0.233 0.004 -0.504
N -0.130 -1.370 -0.910
C 1.144 -0.074 0.723
O 0.529 -0.953 1.641
H -1.918 2.506 0.169
H -0.252 2.523 0.341
H 0.787 0.499 -1.308
H -0.601 -1.857 -0.148
H -0.776 -1.308 -1.702
H 0.684 -1.926 -1.171
H 2.140 -0.413 0.387
H 1.280 0.921 1.174
H 1.177 -1.392 2.220

(5)
17
Properties=species:S:1:pos:R:3 method="wB97M-V/def2-TZVPD" homo_lumo_gap_ev=9.283 e_homo_ev=-8.9 charge=0 e_lumo_ev=0.416 smiles="[H]/N=C/C=C.NP(O)O"
H 0.347 1.342 1.602
N -0.565 0.880 1.616
C -1.310 1.082 0.621
C -2.506 0.303 0.222
C -2.738 -0.055 -1.027
H -1.103 1.941 -0.156
H -3.049 0.141 1.085
H -3.737 -0.346 -1.277
H -2.140 0.374 -1.817
N 1.314 -0.965 0.868
P 1.791 -0.402 -0.751
O 2.708 0.857 -0.283
O 2.833 -1.707 -0.925
H 0.494 -0.472 1.218
H 0.968 -1.896 0.595
H 3.441 0.581 0.208
H 3.252 -1.657 -1.798

(6)
17
Properties=species:S:1:pos:R:3 method="wB97M-V/def2-TZVPD" homo_lumo_gap_ev=6.627 e_homo_ev=-2.9 charge=-1 e_lumo_ev=3.771
N 1.085 -0.759 1.025
C 0.558 0.470 0.381
C 0.867 0.705 -1.150
S 2.214 -0.397 -1.790
C -0.804 0.816 0.801
N -1.137 0.407 2.086
O -1.625 1.388 0.092
H 2.114 -0.652 1.010
H 0.825 -1.597 0.530
H 1.086 1.390 0.818
H -0.005 0.427 -1.757
H 1.197 1.740 -1.322
H -0.706 -0.464 2.369
H -2.054 0.516 2.488
H -1.705 -0.961 -2.340
H -0.505 -1.378 -1.538
O -1.407 -1.652 -1.702

(7)
17
Properties=species:S:1:pos:R:3 method="wB97M-V/def2-TZVPD" homo_lumo_gap_ev=6.215 e_homo_ev=-2.7 charge=-1 e_lumo_ev=3.519
N 0.042 -2.099 0.878
C 0.231 -0.712 0.260
C 0.148 -0.698 -1.239
S 1.693 -1.421 -1.793
C -0.638 0.315 0.964
N -1.584 -0.135 1.940
O -0.600 1.461 0.540
H 0.883 -2.383 1.349
H 0.069 -2.717 0.063
H 1.411 -0.373 0.554
H -0.649 -1.088 -1.847
H 0.223 0.351 -1.523
H -2.010 -1.024 1.952
H -1.971 0.572 2.559
H -0.601 2.986 0.306
H -0.136 4.578 0.202
O -0.894 4.044 0.140

(8)
17
Properties=species:S:1:pos:R:3 method="wB97M-V/def2-TZVPD" homo_lumo_gap_ev=6.444 e_homo_ev=-2.9 charge=-1 e_lumo_ev=3.513
N 0.681 1.565 0.436
C -0.505 0.738 0.517
C -1.345 0.676 -0.728
S -1.790 2.468 -1.221
C -0.011 -0.714 0.819
N 1.235 -0.925 1.444
O -0.583 -1.784 0.647
H 0.318 2.436 -0.054
H 1.363 1.236 -0.240
H -1.208 1.134 1.244
H -0.853 0.216 -1.590
H -2.300 0.154 -0.539
H 1.711 -0.118 1.817
H 1.340 -1.811 1.923
H 1.104 -1.320 -1.115
H -0.055 -2.006 -1.537
O 0.896 -1.944 -1.824

(9)
17
=====

**Assignment:**
Start at the top of the material above and set down each line, ending with the one that has "-3.049 0.141", please.

**Done:**
(1)
15
Properties=species:S:1:pos:R:3 method="wB97M-V/def2-TZVPD" multiplicity=2 homo_lumo_gap_ev="10.573 / 7.619" s2=0.75 e_homo_ev="-9.6 / -9.6" charge=0 e_lumo_ev="0.960 / -1.991"
C -0.351 0.170 -0.719
N 0.321 0.475 0.568
C 1.729 -0.038 0.580
O 2.532 0.388 -0.409
C -1.548 -0.775 -0.531
N -2.509 -0.251 0.484
H 0.382 -0.255 -1.415
H -0.755 1.075 -1.178
H 0.526 1.469 0.503
H 1.615 -1.125 0.684
H 2.150 0.282 1.540
H -1.233 -1.759 -0.184
H -2.050 -0.877 -1.491
H -2.112 -0.584 1.352
H -2.269 0.724 0.660

(2)
15
Properties=species:S:1:pos:R:3 method="wB97M-V/def2-TZVPD" homo_lumo_gap_ev="8.887 / 8.888" e_homo_ev="-13.2 / -13.2" charge=+1 e_lumo_ev="-4.267 / -4.267"
C -1.827 1.439 0.695
C 0.550 -1.444 -0.716
C 0.385 0.839 0.162
N -0.869 1.419 -0.043
N 0.726 -0.039 -1.001
O 1.491 1.479 0.471
H -2.692 2.112 0.734
H -1.734 0.738 1.610
H 0.674 -1.447 0.372
H -0.557 -1.592 -1.012
H 1.425 -2.020 -1.230
H -0.333 -0.183 1.819
H 1.795 0.136 -1.175
H 0.084 0.216 -1.767
H 1.601 2.096 1.264

(3)
16
Properties=species:S:1:pos:R:3 method="wB97M-V/def2-TZVPD" homo_lumo_gap_ev=7.990 e_homo_ev=-3.9 charge=-1 e_lumo_ev=4.092
C 0.269 0.431 2.579
N -0.468 1.166 1.736
O 0.723 -0.695 2.362
H 0.528 0.940 3.539
H -1.137 1.713 2.269
H -0.803 0.450 0.394
C 0.699 0.521 -2.583
N 0.634 -0.769 -1.912
C -0.551 -0.961 -1.020
O -1.084 0.216 -0.594
H -0.084 0.674 -3.345
H 1.686 0.634 -3.039
H 0.573 1.308 -1.844
H 0.711 -1.490 -2.615
H -0.209 -1.609 -0.218
H -1.309 -1.549 -1.578

(4)
16
Properties=species:S:1:pos:R:3 method="wB97M-V/def2-TZVPD" homo_lumo_gap_ev=11.248 e_homo_ev=-14.7 charge=+1 e_lumo_ev=-3.484 smiles="NC(=O)[C@H]([NH3+])CO"
N -1.050 2.015 -0.007
C -1.113 0.718 -0.335
O -2.135 0.106 -0.570
C 0.233 0.004 -0.504
N -0.130 -1.370 -0.910
C 1.144 -0.074 0.723
O 0.529 -0.953 1.641
H -1.918 2.506 0.169
H -0.252 2.523 0.341
H 0.787 0.499 -1.308
H -0.601 -1.857 -0.148
H -0.776 -1.308 -1.702
H 0.684 -1.926 -1.171
H 2.140 -0.413 0.387
H 1.280 0.921 1.174
H 1.177 -1.392 2.220

(5)
17
Properties=species:S:1:pos:R:3 method="wB97M-V/def2-TZVPD" homo_lumo_gap_ev=9.283 e_homo_ev=-8.9 charge=0 e_lumo_ev=0.416 smiles="[H]/N=C/C=C.NP(O)O"
H 0.347 1.342 1.602
N -0.565 0.880 1.616
C -1.310 1.082 0.621
C -2.506 0.303 0.222
C -2.738 -0.055 -1.027
H -1.103 1.941 -0.156
H -3.049 0.141 1.085